Material.
=====
C5H8O2 | ωB97M-V/def2-TZVPD

Structure (XYZ):
```
15
Properties=species:S:1:pos:R:3:forces:R:3:mulliken_charge:R:1
C -1.87726 -0.24985 -0.26166 -0.0154 0.0209 -0.0028 -1.25
C -0.73744 0.69875 0.04149 -0.2206 0.0288 -0.1393 0.27
O -0.27182 0.66243 1.42696 0.0783 -0.2733 0.1446 -0.43
C 1.09107 0.43841 1.01421 0.5334 -0.1296 -0.0212 -0.17
C 1.08452 -0.93834 0.33419 -0.2175 -0.0071 0.3290 -0.96
C 0.64540 0.30918 -0.39240 -0.3572 0.0369 -0.0162 0.43
O 1.22107 0.73233 -1.56845 0.0621 -0.2764 -0.1809 -0.53
H -1.54504 -1.29275 -0.21871 -0.0472 0.2084 0.0561 0.29
H -2.68894 -0.11664 0.45909 0.0724 0.0409 -0.0952 0.33
H -2.26916 -0.05365 -1.26530 0.0403 0.0008 0.1290 0.33
H -0.97798 1.72858 -0.24663 -0.0026 -0.0466 0.1834 0.36
H 1.85220 0.91306 1.62026 0.0862 0.0544 -0.3684 0.43
H 1.76489 -1.53431 -0.25099 1.3390 0.5557 0.3375 0.30
H 0.51634 -1.61455 0.93361 -1.2316 -0.3198 -0.2694 0.28
H 2.06967 0.28190 -1.66985 -0.1196 0.1060 -0.0863 0.32
```
Positions in Å, forces in eV/Å.

Computed properties:
SMILES = C[C@H]1O[C@H]2C[C@]21O
E_LUMO = 0.82 eV
total charge = 0
gap between HOMO and LUMO = 0.36532 Ha

C5H8O2 | ωB97M-V/def2-TZVPD

Structure (XYZ):
```
15
Properties=species:S:1:pos:R:3:forces:R:3:mulliken_charge:R:1
C 1.68132 -0.55941 0.20805 0.0132 -0.1635 -0.0790 -1.33
C 0.43075 0.19949 0.60720 -0.0200 -0.1241 -0.0585 0.38
C -1.00401 -0.46588 0.44095 -0.0186 0.1035 0.3512 -0.46
O -1.08572 -1.67364 -0.24681 0.0230 0.0034 -0.2507 -0.56
C -1.42387 0.75877 -0.37901 -0.4014 0.0020 0.2374 -0.16
O -0.60182 0.68869 -1.53218 0.4408 -0.0753 0.0982 -0.46
C -0.06971 1.29799 -0.32341 0.2532 0.2716 -0.1669 -0.49
H 2.57547 0.07175 0.15822 -0.2473 0.1221 0.1044 0.36
H 1.56126 -1.00630 -0.77682 -0.0354 -0.0599 -0.0693 0.29
H 1.89747 -1.36405 0.91029 -0.0628 -0.0480 0.0146 0.35
H 0.49662 0.54119 1.64971 0.0401 0.2020 -0.3314 0.36
H -1.53234 -0.57857 1.38859 0.0970 0.0098 -0.0369 0.43
H -0.83214 -1.44396 -1.15398 0.0032 -0.2502 0.0136 0.40
H -2.38632 1.24538 -0.46751 0.0257 -0.0427 -0.0161 0.44
H 0.30101 2.30187 -0.47781 -0.1106 0.0496 0.1896 0.45
```
Positions in Å, forces in eV/Å.

Computed properties:
SMILES = C[C@@H]1[C@H](O)[C@@H]2O[C@H]12
E_LUMO = 1.03 eV
total charge = 0
gap between HOMO and LUMO = 0.39746 Ha

C5H8O2 | ωB97M-V/def2-TZVPD

Structure (XYZ):
```
15
Properties=species:S:1:pos:R:3:forces:R:3:mulliken_charge:R:1
O -2.04343 0.93124 0.60336 -0.1162 0.2629 -0.2256 -0.56
C -1.19449 -0.18206 0.55171 -0.1384 -0.4901 0.3042 -0.07
C 0.29272 0.09087 0.92788 -0.2137 0.0932 0.2790 -0.82
C 0.59428 -0.00149 -0.55314 -0.6769 0.2953 0.2763 1.15
C 1.83758 -0.04776 -1.25910 -0.4727 1.0026 -0.1210 -0.81
O 0.71939 1.27802 -1.15342 3.0887 -2.2684 -0.8712 -0.54
C -0.73761 -0.64814 -0.86493 -0.4003 0.0159 0.0378 -0.91
H -1.74879 1.58372 -0.04217 0.0633 0.0401 0.0316 0.35
H -1.70370 -0.93438 1.14878 0.1208 -0.1334 0.0268 0.43
H 0.49098 1.08594 1.34099 -0.0403 -0.2163 -0.0281 0.31
H 0.74216 -0.67102 1.56408 -0.0472 -0.1093 -0.0738 0.31
H 2.79682 0.02169 -0.71914 -0.7388 0.7111 -0.2228 0.27
H 1.93329 -0.59238 -2.21472 -0.4882 0.9128 0.2914 0.27
H -1.25007 -0.17749 -1.71049 0.0266 -0.1091 0.1378 0.31
H -0.72725 -1.72947 -1.00349 0.0333 -0.0072 0.1577 0.32
```
Positions in Å, forces in eV/Å.

Computed properties:
SMILES = O[C@H]1C[C@]2(CO2)C1
E_LUMO = 0.73 eV
total charge = 0
gap between HOMO and LUMO = 0.39459 Ha

C5H8O2 | ωB97M-V/def2-TZVPD

Structure (XYZ):
```
15
Properties=species:S:1:pos:R:3:forces:R:3:mulliken_charge:R:1
C 0.72663 0.17200 1.28970 0.4350 -1.9556 2.3058 -1.04
C 0.40464 -0.50312 0.01557 0.2846 1.5254 -0.6056 1.07
O 1.22529 -1.58381 -0.03607 0.4573 -1.0105 2.6529 -0.62
C -1.07048 -0.55422 -0.44855 -0.0810 -0.1540 0.1463 -0.83
C -0.99767 0.85265 -1.07990 -0.0888 0.1724 0.0001 -0.38
C 0.51847 0.84806 -0.93444 0.5911 -1.1001 -0.7805 0.12
O 1.41923 1.47011 -1.41092 -0.5524 -0.2510 0.4579 -0.53
H 1.03882 -1.04576 2.00986 -1.3956 3.4069 -0.0898 0.14
H 1.74104 0.57655 1.28503 -0.2406 0.1130 -0.0789 0.39
=====

Exercise.
Say how many lines of the entries above hold the word "total", as a bare number, please.

Completed.
3